Activity >
It remains to find the line below that holds "Crystal structure", then repeat that line and all lines after it there.

Data >
Simulated X-ray powder pattern of Li3InBr6 for Cu Ka, from a GGA-PBE-relaxed structure.

Crystal structure
```
Li3InBr6
1.0
3.4306 -5.9167 0.0000
3.4306 5.9167 0.0000
-2.3768 0.0000 13.0640
Li In Br
6 2 12
Direct
0.0930 0.9070 0.7500 Li
0.1605 0.3211 0.9996 Li
0.3211 0.1605 0.4996 Li
0.6789 0.8395 0.5004 Li
0.8395 0.6789 0.0004 Li
0.9070 0.0930 0.2500 Li
0.0000 0.5000 0.5000 In
0.5000 0.0000 0.0000 In
0.0404 0.2089 0.6192 Br
0.1316 0.6391 0.8821 Br
0.2089 0.0404 0.1192 Br
0.2779 0.4491 0.3806 Br
0.3609 0.8684 0.6179 Br
0.4491 0.2779 0.8806 Br
0.5509 0.7221 0.1194 Br
0.6391 0.1316 0.3821 Br
0.7221 0.5509 0.6194 Br
0.7911 0.9596 0.8808 Br
0.8684 0.3609 0.1179 Br
0.9596 0.7911 0.3808 Br
```

The 10 most intense peaks (2θ = 15–90°), sorted by position:
- 2θ 15.57, 5.690 Å, rel. 17
- 2θ 27.31, 3.265 Å, rel. 19
- 2θ 27.49, 3.245 Å, rel. 16
- 2θ 27.66, 3.225 Å, rel. 33
- 2θ 31.89, 2.806 Å, rel. 100
- 2θ 45.35, 2.000 Å, rel. 12
- 2θ 45.63, 1.988 Å, rel. 24
- 2θ 45.87, 1.978 Å, rel. 23
- 2θ 46.02, 1.972 Å, rel. 12
- 2θ 57.12, 1.613 Å, rel. 12

Result >
Crystal structure
```
Li3InBr6
1.0
3.4306 -5.9167 0.0000
3.4306 5.9167 0.0000
-2.3768 0.0000 13.0640
Li In Br
6 2 12
Direct
0.0930 0.9070 0.7500 Li
0.1605 0.3211 0.9996 Li
0.3211 0.1605 0.4996 Li
0.6789 0.8395 0.5004 Li
0.8395 0.6789 0.0004 Li
0.9070 0.0930 0.2500 Li
0.0000 0.5000 0.5000 In
0.5000 0.0000 0.0000 In
0.0404 0.2089 0.6192 Br
0.1316 0.6391 0.8821 Br
0.2089 0.0404 0.1192 Br
0.2779 0.4491 0.3806 Br
0.3609 0.8684 0.6179 Br
0.4491 0.2779 0.8806 Br
0.5509 0.7221 0.1194 Br
0.6391 0.1316 0.3821 Br
0.7221 0.5509 0.6194 Br
0.7911 0.9596 0.8808 Br
0.8684 0.3609 0.1179 Br
0.9596 0.7911 0.3808 Br
```

The 10 most intense peaks (2θ = 15–90°), sorted by position:
- 2θ 15.57, 5.690 Å, rel. 17
- 2θ 27.31, 3.265 Å, rel. 19
- 2θ 27.49, 3.245 Å, rel. 16
- 2θ 27.66, 3.225 Å, rel. 33
- 2θ 31.89, 2.806 Å, rel. 100
- 2θ 45.35, 2.000 Å, rel. 12
- 2θ 45.63, 1.988 Å, rel. 24
- 2θ 45.87, 1.978 Å, rel. 23
- 2θ 46.02, 1.972 Å, rel. 12
- 2θ 57.12, 1.613 Å, rel. 12